Immerse yourself in alternative, non-western sounds of the future, learn everything about the potential of decentralisation and the future of the internet, and experience silence – does that exist? – in a silent STRP Scenario.
STRP Scenario is the in-depth program of STRP. Together with artists, thinkers, and you, we focus on the ethics of technology and its impact on individuals and society. STRP believes that the future is experimental and created together. To explore future scenarios, we work together with creative scenario co-creators to design and re-invent the traditional format of conferences. This year’s co-creators are futurist Pupul Bisht, design collective Foundation We Are, and artist and writer on noise Martina Raponi. During STRP Festival 2023, there will be a STRP Scenario on 13, 14, and 15 April.
STRP Scenario has a limited capacity, so get your tickets soon →

STRP Scenario #20: The Sound of Many Tomorrows
To change the future, we need to create new stories. STRP Scenario #20: The Sound of Many Tomorrows invites you to explore the future of storytelling. Join an immersive experience that invites you to listen deeply and connect with the more-than-human world.
-- begin --
# 1
Theoretical PXRD pattern of PuIrRh3 for CuKα, from a structure optimized by DFT (PBE).
Intensities are scaled so that the largest is 100.

Peak list (10 most intense, 15 to 90 degrees two-theta, most intense first)
- 2θ 27.07, intensity 100
- 2θ 41.88, intensity 71
- 2θ 48.80, intensity 66
- 2θ 43.93, intensity 62
- 2θ 29.20, intensity 47
- 2θ 39.61, intensity 45
- 2θ 36.30, intensity 44
- 2θ 58.63, intensity 32
- 2θ 85.04, intensity 19
- 2θ 32.69, intensity 18

Crystal structure
Unit cell a=5.478 b=10.197 c=7.002 alpha=90.00 beta=90.00 gamma=90.00
Space group Imma (No. 74)
Unique sites:
Pu 0.000 0.250 0.080
Ir 0.000 0.000 0.500
Rh 0.000 0.250 0.458
Rh 0.250 0.118 0.750

***

# 2
Theoretical PXRD pattern of Pu2IrRh3 for CuKα, from a structure optimized by DFT (PBE).
Intensities are scaled so that the largest is 100.

Peak list (10 most intense, 15 to 90 degrees two-theta, most intense first)
- 2θ 39.59, intensity 100
- 2θ 33.64, intensity 40
- 2θ 64.17, intensity 33
- 2θ 33.54, intensity 20
- 2θ 41.50, intensity 19
- 2θ 39.67, intensity 18
- 2θ 60.13, intensity 16
- 2θ 70.48, intensity 15
- 2θ 70.73, intensity 15
- 2θ 84.21, intensity 10

Crystal structure
Unit cell a=5.3276 b=5.3276 c=13.1119 alpha=90.00 beta=90.00 gamma=120.00
Space group R-3m (No. 166, hexagonal axes)
Unique sites:
Pu 0.0000 0.0000 0.1253
Ir 0.0000 0.0000 0.5000
Rh 0.0000 0.5000 0.0000

***

# 3
Theoretical PXRD pattern of Pu6IrRh3 for CuKα, from a structure optimized by DFT (PBE).
Intensities are scaled so that the largest is 100.

Peak list (10 most intense, 15 to 90 degrees two-theta, most intense first)
- 2θ 35.70, intensity 100
- 2θ 32.93, intensity 63
- 2θ 33.69, intensity 57
- 2θ 36.19, intensity 55
- 2θ 26.43, intensity 54
- 2θ 37.63, intensity 51
- 2θ 27.75, intensity 47
- 2θ 35.95, intensity 45
- 2θ 31.99, intensity 44
- 2θ 29.44, intensity 41

Crystal structure
Unit cell a=8.006 b=7.554 c=7.885 alpha=90.00 beta=108.09 gamma=90.00
Space group C2/m (No. 12)
Unique sites:
Pu 0.093 0.199 0.328
Pu 0.158 0.500 0.934
Ir 0.000 0.500 0.500
Rh 0.000 0.000 0.000
Rh 0.224 0.000 0.692

***

# 4
Theoretical PXRD pattern of Pu2Si4Ir3Rh for CuKα, from a structure optimized by DFT (PBE).
Intensities are scaled so that the largest is 100.

Peak list (10 most intense, 15 to 90 degrees two-theta, most intense first)
- 2θ 35.61, intensity 100
- 2θ 34.75, intensity 88
- 2θ 43.70, intensity 64
- 2θ 31.86, intensity 44
- 2θ 57.00, intensity 44
- 2θ 51.13, intensity 33
- 2θ 30.51, intensity 32
- 2θ 69.48, intensity 27
- 2θ 74.99, intensity 24
- 2θ 28.09, intensity 23

Crystal structure
Unit cell a=4.143 b=4.143 c=9.901 alpha=90.00 beta=90.00 gamma=90.00
Space group P-4m2 (No. 115)
Unique sites:
Pu 0.000 0.500 0.244
Si 0.000 0.000 0.000
Si 0.000 0.500 0.629
Si 0.500 0.500 0.000
Ir 0.000 0.500 0.872
Ir 0.500 0.500 0.500
Rh 0.000 0.000 0.500

***

# 5
Theoretical PXRD pattern of PuZnIrRh for CuKα, from a structure optimized by DFT (PBE).
Intensities are scaled so that the largest is 100.
-- stop --
This is also the opportunity to find out all about the ACT Award winners, whose work can be seen in the STRP Expo. Their artworks all represent a different sound than can be heard in the current Western discourse.
Co-creators of this scenario are futurist Pupul Bisht and 3D artist Ninaad Kulkarni. Together with the ACT Award winners: Hakeem Adam, artist collective KWAGO, and Juan Arturo Garcia, they take you through the power of storytelling in non-western oral culture. Read more about STRP Scenario #20 here!
STRP Scenario #21: Decentralised Collaborative Futures
STRP Scenario #21: Decentralised Collaborative Futures examines the shift from Web2 to Web3, the next iteration of the internet, integrating blockchain technologies, crypto and token-based economies. Web3 promises to be a decentral online world where individuals and communities own their data and digital presence. Together with artists, researchers, organizers and critics, we examine the potential of NFTs, DAOs and other Web3 principles.
STRP Scenario #21 takes the form of a learning community. In the run-up to STRP Festival we meet online on Discord where you can pose all your questions and concerns regarding Web3. Is Web3 a hype or hope?
**What comes next are materials data, not part of the page:**
........
Diffraction record for Eu3Al2O7. The PXRD pattern is calculated, not measured: it uses a structure optimized by DFT (GGA-PBE) and λ = 1.5418 Å (Cu Kα).
Kinematic intensities with the Lorentz-polarization factor, no thermal factor.

Peak list (6 most intense, 2θ from 10° to 90°, by angle)
2θ (°), intensity
24.12, 52
32.86, 100
33.76, 66
43.75, 51
48.49, 37
59.82, 37

Cell and atoms:
Lattice parameters (Å, degrees): 10.2558 10.2558 10.2558 158.90 158.90 30.01
Atoms (fractional coordinates):
Eu 0.0000 0.0000 0.0000
Eu 0.1824 0.1824 0.0000
Eu 0.8176 0.8176 0.0000
Al 0.4044 0.4044 0.0000
Al 0.5956 0.5956 0.0000
O 0.0972 0.5972 0.5000
O 0.3019 0.3019 0.0000
O 0.4028 0.9028 0.5000
O 0.5000 0.5000 0.0000
O 0.5972 0.0972 0.5000
O 0.6981 0.6981 0.0000
O 0.9028 0.4028 0.5000

=====

Record 1
Diffraction record for Sb3Cl9OF4. The powder X-ray diffraction pattern is theoretical, not measured: it uses a cell relaxed with PBE and a wavelength of 1.5418 Å.
Intensities are scaled so that the largest is 1000.

```
Sb3Cl9OF4
1.0
7.2181 0.0000 0.0000
-2.7011 9.7959 0.0000
-0.7369 -0.4593 13.7345
Sb Cl O F
6 18 2 8
Direct
0.0997 0.1413 0.3078 Sb
0.3008 0.5572 0.2864 Sb
0.3120 0.2330 0.1063 Sb
0.6880 0.7670 0.8937 Sb
0.6992 0.4428 0.7136 Sb
0.9003 0.8587 0.6922 Sb
0.0034 0.9086 0.2696 Cl
0.1778 0.3224 0.9744 Cl
0.2044 0.6472 0.4259 Cl
0.2040 0.8417 0.6560 Cl
0.2406 0.1362 0.4630 Cl
0.2579 0.0141 0.0384 Cl
0.3617 0.6902 0.9159 Cl
0.4079 0.4676 0.6456 Cl
0.4340 0.7555 0.2051 Cl
0.5660 0.2445 0.7949 Cl
0.5921 0.5324 0.3544 Cl
0.6383 0.3098 0.0841 Cl
0.7421 0.9859 0.9616 Cl
0.7594 0.8638 0.5370 Cl
0.7960 0.1583 0.3440 Cl
0.7956 0.3528 0.5741 Cl
0.8222 0.6776 0.0256 Cl
0.9966 0.0914 0.7304 Cl
0.3448 0.1845 0.2430 O
0.6552 0.8155 0.7570 O
0.0286 0.1932 0.1620 F
0.0542 0.5342 0.2203 F
0.1733 0.3616 0.3337 F
0.3419 0.4379 0.1689 F
0.6581 0.5621 0.8311 F
0.8267 0.6384 0.6663 F
0.9458 0.4658 0.7797 F
0.9714 0.8068 0.8380 F
```

Principal peaks in the range 10 to 80 degrees two-theta, in order of rising 2θ:
(hkl)  2θ/deg  d [Å]  I_rel
0 1 -1  10.92  8.101  357
1 -1 0  13.52  6.551  658
1 0 -1  13.94  6.355  362
1 0 1  14.64  6.053  1000
1 -1 2  19.05  4.660  353
0 2 1  19.44  4.566  615

Record 2
Diffraction record for SbPCl4F6. The powder X-ray diffraction pattern is theoretical, not measured: it uses a cell relaxed with PBE and a wavelength of 1.5418 Å.
Intensities are scaled so that the largest is 1000.

```
SbPCl4F6
1.0
8.7161 0.0000 0.0000
0.0000 8.7161 0.0000
0.0000 0.0000 6.9434
Sb P Cl F
2 2 8 12
Direct
0.2500 0.2500 0.1467 Sb
0.7500 0.7500 0.8533 Sb
0.2500 0.7500 0.5000 P
0.7500 0.2500 0.5000 P
0.0730 0.7969 0.3376 Cl
0.2031 0.5730 0.6624 Cl
0.2969 0.9270 0.6624 Cl
0.4270 0.7031 0.3376 Cl
0.5730 0.2969 0.6624 Cl
0.7031 0.0730 0.3376 Cl
0.7969 0.4270 0.3376 Cl
0.9270 0.2031 0.6624 Cl
0.0408 0.1802 0.1465 F
0.1802 0.4592 0.1465 F
0.2500 0.2500 0.4232 F
0.2500 0.2500 0.8688 F
0.3198 0.0408 0.1465 F
0.4592 0.3198 0.1465 F
0.5408 0.6802 0.8535 F
0.6802 0.9592 0.8535 F
........
Co-creator of this STRP Scenario is Foundation We Are, a design collective with a focus on social design. Speakers: blockchain artist Sarah Friend, UBERMORGEN artist lizvlx and researcher Michelle Kasprzak present The Crypto Purse, the feminist answer to the crypto wallet. Penny Rafferty, writer and researcher at Serpentine Galleries Blockchain R&D Lab and founder of Black Swan DAO. Will Rowe, founder of Protein, a token-based community of forward-thinking culture makers. Read more about STRP Scenario #21 here!
STRP Scenario #22: Silence: (im)possible absences
STRP Scenario #22 takes place in complete silence. We can perceive noise and we often experience it as negative or annoying. Silence, on the other hand, is considered as positive, as it is associated with calmness, peace, order. But what do we mean when we talk about ‘silence’? Because true silence is impossible. Silence is an impossible absence that, like noise, tells the stories of our personal and collective values. STRP Scenario #22: Silence: (im)possible absences is a search for different perspectives on silence – and noise.
Co-creator of STRP Scenario #22 researcher and artist Martina Raponi, who grew up with a deaf father and is expert in sound, and noise. STRP invites various speakers to dive into the complexity of silence together. Speakers: composer and writer David Toop. Véro Leduc, deaf professor who researches the cultural participation of the deaf and PhD student Sarah Heussaff who researches disability activist movements. Sound artist and researcher Ximena Alarcón with a Deep Listening performance about silence. Read more about STRP Scenario #22 here!
[Calculated crystals, kept here for reference]
┌──
Theoretical PXRD pattern of CsLaCr2O8 for CuKα, from a structure optimized by DFT (GGA+U).
Neutral-atom scattering factors, no anomalous dispersion.

Atomic structure:
abc: 5.9504 5.9504 8.6401
angles: 90.00 90.00 120.00
Space group P-3 (No. 147)
Symmetry-distinct sites (fractional):
Cs 0.0000 0.0000 0.0000 (multiplicity 1)
La 0.0000 0.0000 0.5000 (multiplicity 1)
Cr 0.3333 0.6667 0.7393 (multiplicity 2)
O 0.1703 0.3592 0.6752 (multiplicity 6)
O 0.3333 0.6667 0.9273 (multiplicity 2)

Peak list (10 most intense, 2θ = 5–70°, sorted by position)
| 2θ/deg | intensity |
| --- | --- |
| 17.21 | 62.8 |
| 20.06 | 46.8 |
| 26.93 | 100.0 |
| 30.04 | 57.5 |
| 36.68 | 18.4 |
| 40.78 | 41.4 |
| 45.53 | 13.6 |
| 51.47 | 29.9 |
| 52.34 | 22.5 |
| 69.24 | 13.5 |

* * * * *

Diffraction record for LiB. The PXRD pattern is simulated, not measured: it uses a cell relaxed with GGA-PBE and Cu Kα, 1.54184 Å.
Kinematic intensities with the Lorentz-polarization factor, no thermal factor.

Atomic structure:
```
LiB
1.0
6.150 0.000 0.000
0.000 3.080 0.000
0.000 0.000 5.715
Li B
4 4
direct
0.243 0.250 0.242 Li
0.257 0.750 0.742 Li
0.743 0.250 0.258 Li
0.757 0.750 0.758 Li
0.001 0.250 0.527 B
0.499 0.750 0.027 B
0.501 0.250 0.973 B
0.999 0.750 0.473 B
```

Top 10 peaks for 2θ = 10–90°, sorted by position:
2theta  I/Imax  index
21.22  1000  1 0 1
33.04  48  0 1 1
43.22  233  2 0 2
44.55  118  2 1 1
47.09  62  3 0 1
50.13  38  1 0 3
56.83  50  0 1 3
60.13  83  0 2 0
64.48  40  1 2 1
76.85  73  2 2 2

* * * * *

1.
# GaAgF
Calculated X-ray powder pattern, λ = 1.5418 Å (Cu Kα). Input: a DFT-relaxed cell (GGA-PBE, Alexandria).
Peak positions follow from Bragg's law for the DFT cell and can differ from measured ones.

Structural model:
Cell: 3.009 5.372 7.829 Å, 109.03 98.98 90.76°
Space group P-1 (No. 2)
Symmetry-distinct sites (fractional):
1 Ga 0.107 0.134 0.170 (multiplicity 2)
2 Ag 0.311 0.462 0.647 (multiplicity 2)
3 F 0.160 0.874 0.287 (multiplicity 2)

Largest 10 diffraction maxima, low angle first, 2θ = 10–90°:
| 2θ/deg | d [Å] | I/Imax | (hkl) |
| --- | --- | --- | --- |
| 12.1 | 7.293 | 34 | 0 0 1 |
| 17.7 | 5.014 | 100 | 0 1 -1 |
| 24.4 | 3.641 | 64 | 0 0 2 |
| 34.0 | 2.639 | 37 | 1 -1 0 |
| 34.4 | 2.608 | 42 | 1 1 -1 |
| 35.2 | 2.547 | 39 | 0 1 -3 |
| 41.8 | 2.160 | 36 | 1 1 1 |
| 42.4 | 2.130 | 28 | 1 0 2 |
| 42.7 | 2.116 | 27 | -1 1 2 |
| 45.3 | 2.001 | 28 | 1 -2 1 |



2.
# GaAg2PbF8
Calculated X-ray powder pattern, λ = 1.5418 Å (Cu Kα). Input: a DFT-relaxed cell (GGA-PBE, Alexandria).
Peak positions follow from Bragg's law for the DFT cell and can differ from measured ones.

Structural model:
Cell: 4.964 7.095 5.433 Å, 90.00 94.75 90.00°
Space group P2/m (No. 10)
Symmetry-distinct sites (fractional):
1 Ga 0.000 0.000 0.000 (multiplicity 1)
2 Ag 0.500 0.238 0.500 (multiplicity 2)
3 Pb 0.000 0.500 0.000 (multiplicity 1)
4 F 0.143 0.199 0.808 (multiplicity 4)
5 F 0.321 0.000 0.242 (multiplicity 2)
6 F 0.411 0.500 0.272 (multiplicity 2)
└──
Following STRP Scenario #22, NRU (Noise Research Union) organises the workshop Exploring the Limits of Silence.
STRP Festival 2023 Closing Keynote: The Art of Listening – Miriam Rasch
Essayist and philosopher Miriam Rasch thinks it's time for an ethics of listening. In Western philosophy, the search for knowledge and truth is strongly linked to seeing: we must first see, then believe. What does it mean to really listen to each other? How can we listen with our whole body, to non-human animals, plants or ecosystems? What does an oral culture sound like? And what is the sound of silence?
During STRP Festival 2023 she will be all ears and reflect on her experiences and share a personal interpretation about the art of listening on the last day. Read more about the Closing Keynote here!
Free entrance with a STRP Expo ticket
Get your STRP Expo ticket here! →